(Exercise)
Your job: duplicate all of the listing below word for word.

(Listing)
- - -
1.
Here is a relaxed Ti4Cr2Ge5 crystal from the Materials Project. Energies are from PBE.

Its formation enthalpy at 0 K is -0.482 eV per atom. For the magnetic moment, the calculation gives 0.00 μB per atom. Its final energy is -7.21 eV per atom. The energy above the most stable polymorph in this dataset is 0 meV per atom.

It has space group Ibam (No. 72), with a = 7.857 Å, b = 16.508 Å, c = 5.047 Å, α = 90.00°, β = 90.00° and γ = 90.00°. Symmetry generates all atoms from Ti at (0.108, 0.143, 0.000), Ti at (0.240, 0.436, 0.000), Cr at (0.000, 0.307, 0.250), Ge at (0.000, 0.000, 0.250), Ge at (0.095, 0.428, 0.500) and Ge at (0.201, 0.214, 0.500).

---

2.
Here is a relaxed Ti4Cr2Ge5 crystal from the Materials Project. Energies are from PBE.

Its formation enthalpy at 0 K is -0.342 eV per atom. For the magnetic moment, the calculation gives 0.11 μB per atom. Its final energy is -7.07 eV per atom. The energy above the most stable polymorph in this dataset is 139 meV per atom.

It has space group C2/m (No. 12), with a = 9.752 Å, b = 15.658 Å, c = 5.192 Å, α = 90.00°, β = 121.27° and γ = 90.00°. Symmetry generates all atoms from Ti at (0.000, 0.000, 0.242), Ti at (0.220, 0.411, 0.721), Ti at (0.250, 0.250, 0.000), Cr at (0.000, 0.350, 0.000), Cr at (0.250, 0.250, 0.500), Ge at (0.000, 0.173, 0.000), Ge at (0.000, 0.290, 0.500), Ge at (0.002, 0.500, 0.240) and Ge at (0.198, 0.108, 0.691).

---

3.
Here is a relaxed YCr6Ge6 crystal from the Materials Project. Energies are from PBE.

Its formation enthalpy at 0 K is -0.193 eV per atom. For the magnetic moment, the calculation gives 0.00 μB per atom. Its final energy is -7.28 eV per atom.

It has space group P6/mmm (No. 191), with a = 5.1142 Å, b = 5.1142 Å, c = 8.3237 Å, α = 90.00°, β = 90.00° and γ = 120.00°. Symmetry generates all atoms from Y at (0.0000, 0.0000, 0.0000), Cr at (0.0000, 0.5000, 0.2510), Ge at (0.0000, 0.0000, 0.3462), Ge at (0.3333, 0.6667, 0.0000) and Ge at (0.3333, 0.6667, 0.5000).

---

4.
Here is a relaxed ZrCrGe2 crystal from the Materials Project. Energies are from PBE.

Its formation enthalpy at 0 K is -0.468 eV per atom. For the magnetic moment, the calculation gives 0.00 μB per atom. Its final energy is -7.33 eV per atom.

It has space group Pbam (No. 55), with a = 9.365 Å, b = 10.116 Å, c = 8.207 Å, α = 90.00°, β = 90.00° and γ = 90.00°. Symmetry generates all atoms from Zr at (0.166, 0.179, 0.000), Zr at (0.171, 0.453, 0.245), Cr at (0.000, 0.000, 0.245), Cr at (0.083, 0.755, 0.250), Ge at (0.041, 0.622, 0.000), Ge at (0.045, 0.624, 0.500), Ge at (0.125, 0.904, 0.500), Ge at (0.132, 0.898, 0.000) and Ge at (0.168, 0.182, 0.343).

---

5.
Here is a relaxed CrH3 crystal from the Materials Project. Energies are from PBE.

Its formation enthalpy at 0 K is 0.088 eV per atom. For the magnetic moment, the calculation gives 0.60 μB per atom. Its final energy is -4.74 eV per atom.

It has space group Pm-3m (No. 221), with a = 2.764 Å, b = 2.764 Å, c = 2.764 Å, α = 90.00°, β = 90.00° and γ = 90.00°. Symmetry generates all atoms from Cr at (0.000, 0.000, 0.000) and H at (0.000, 0.500, 0.500).

---

6.
Here is a relaxed Cr3H crystal from the Materials Project. Energies are from PBE.

Its formation enthalpy at 0 K is 0.729 eV per atom. For the magnetic moment, the calculation gives 0.03 μB per atom. Its final energy is -7.31 eV per atom.
- - -

(Outcome)
1.
Here is a relaxed Ti4Cr2Ge5 crystal from the Materials Project. Energies are from PBE.

Its formation enthalpy at 0 K is -0.482 eV per atom. For the magnetic moment, the calculation gives 0.00 μB per atom. Its final energy is -7.21 eV per atom. The energy above the most stable polymorph in this dataset is 0 meV per atom.

It has space group Ibam (No. 72), with a = 7.857 Å, b = 16.508 Å, c = 5.047 Å, α = 90.00°, β = 90.00° and γ = 90.00°. Symmetry generates all atoms from Ti at (0.108, 0.143, 0.000), Ti at (0.240, 0.436, 0.000), Cr at (0.000, 0.307, 0.250), Ge at (0.000, 0.000, 0.250), Ge at (0.095, 0.428, 0.500) and Ge at (0.201, 0.214, 0.500).

---

2.
Here is a relaxed Ti4Cr2Ge5 crystal from the Materials Project. Energies are from PBE.

Its formation enthalpy at 0 K is -0.342 eV per atom. For the magnetic moment, the calculation gives 0.11 μB per atom. Its final energy is -7.07 eV per atom. The energy above the most stable polymorph in this dataset is 139 meV per atom.

It has space group C2/m (No. 12), with a = 9.752 Å, b = 15.658 Å, c = 5.192 Å, α = 90.00°, β = 121.27° and γ = 90.00°. Symmetry generates all atoms from Ti at (0.000, 0.000, 0.242), Ti at (0.220, 0.411, 0.721), Ti at (0.250, 0.250, 0.000), Cr at (0.000, 0.350, 0.000), Cr at (0.250, 0.250, 0.500), Ge at (0.000, 0.173, 0.000), Ge at (0.000, 0.290, 0.500), Ge at (0.002, 0.500, 0.240) and Ge at (0.198, 0.108, 0.691).

---

3.
Here is a relaxed YCr6Ge6 crystal from the Materials Project. Energies are from PBE.

Its formation enthalpy at 0 K is -0.193 eV per atom. For the magnetic moment, the calculation gives 0.00 μB per atom. Its final energy is -7.28 eV per atom.

It has space group P6/mmm (No. 191), with a = 5.1142 Å, b = 5.1142 Å, c = 8.3237 Å, α = 90.00°, β = 90.00° and γ = 120.00°. Symmetry generates all atoms from Y at (0.0000, 0.0000, 0.0000), Cr at (0.0000, 0.5000, 0.2510), Ge at (0.0000, 0.0000, 0.3462), Ge at (0.3333, 0.6667, 0.0000) and Ge at (0.3333, 0.6667, 0.5000).

---

4.
Here is a relaxed ZrCrGe2 crystal from the Materials Project. Energies are from PBE.

Its formation enthalpy at 0 K is -0.468 eV per atom. For the magnetic moment, the calculation gives 0.00 μB per atom. Its final energy is -7.33 eV per atom.

It has space group Pbam (No. 55), with a = 9.365 Å, b = 10.116 Å, c = 8.207 Å, α = 90.00°, β = 90.00° and γ = 90.00°. Symmetry generates all atoms from Zr at (0.166, 0.179, 0.000), Zr at (0.171, 0.453, 0.245), Cr at (0.000, 0.000, 0.245), Cr at (0.083, 0.755, 0.250), Ge at (0.041, 0.622, 0.000), Ge at (0.045, 0.624, 0.500), Ge at (0.125, 0.904, 0.500), Ge at (0.132, 0.898, 0.000) and Ge at (0.168, 0.182, 0.343).

---

5.
Here is a relaxed CrH3 crystal from the Materials Project. Energies are from PBE.

Its formation enthalpy at 0 K is 0.088 eV per atom. For the magnetic moment, the calculation gives 0.60 μB per atom. Its final energy is -4.74 eV per atom.

It has space group Pm-3m (No. 221), with a = 2.764 Å, b = 2.764 Å, c = 2.764 Å, α = 90.00°, β = 90.00° and γ = 90.00°. Symmetry generates all atoms from Cr at (0.000, 0.000, 0.000) and H at (0.000, 0.500, 0.500).

---

6.
Here is a relaxed Cr3H crystal from the Materials Project. Energies are from PBE.

Its formation enthalpy at 0 K is 0.729 eV per atom. For the magnetic moment, the calculation gives 0.03 μB per atom. Its final energy is -7.31 eV per atom.